Material >
=====
Entry 1:
This record from Materials Project describes Na7Mg2Al2P5SO24 after structural relaxation. The functional is PBE-GGA. Values from VASP.

```
&SYSTEM
  ibrav = 0, nat = 123, ntyp = 6
/
ATOMIC_SPECIES
Na 22.99 Na.upf
Mg 24.30 Mg.upf
Al 26.98 Al.upf
P 30.97 P.upf
S 32.06 S.upf
O 16.00 O.upf
CELL_PARAMETERS angstrom
8.817 0.008 -0.001
-4.402 7.628 -0.002
-0.002 -0.010 21.576
ATOMIC_POSITIONS crystal
Na 0.639 0.993 0.252
Na 0.000 0.632 0.255
Na 0.635 0.642 0.748
Na 0.008 0.367 0.752
Na 0.362 0.994 0.752
Na 0.290 0.333 0.587
Na 0.046 0.712 0.583
Na 0.669 0.955 0.584
Na 0.290 0.955 0.079
Na 0.668 0.710 0.087
Na 0.045 0.332 0.084
Na 0.988 0.668 0.916
Na 0.328 0.311 0.921
Na 0.975 0.318 0.414
Na 0.689 0.672 0.419
Na 0.011 0.995 0.500
Na 0.993 0.008 0.000
Na 0.669 0.311 0.836
Na 0.651 0.325 0.334
Na 0.334 0.640 0.169
Na 0.334 0.669 0.667
Mg 0.000 0.001 0.647
Mg 0.998 0.002 0.147
Mg 0.327 0.666 0.018
Mg 0.334 0.678 0.517
Mg 0.333 0.665 0.318
Mg 0.328 0.671 0.818
Al 0.987 0.991 0.349
Al 0.006 0.009 0.847
Al 0.668 0.333 0.687
Al 0.672 0.339 0.185
Al 0.667 0.322 0.983
Al 0.670 0.330 0.483
P 0.702 0.697 0.248
P 0.998 0.293 0.249
P 0.300 0.295 0.749
P 0.994 0.705 0.749
P 0.711 0.004 0.748
P 0.954 0.336 0.584
P 0.387 0.053 0.584
P 0.665 0.614 0.583
P 0.951 0.615 0.083
P 0.664 0.047 0.086
P 0.389 0.335 0.083
P 0.023 0.356 0.917
P 0.334 0.974 0.916
P 0.637 0.973 0.416
P 0.029 0.671 0.417
S 0.292 0.008 0.250
S 0.638 0.672 0.917
S 0.331 0.359 0.417
O 0.195 0.022 0.304
O 0.825 0.793 0.305
O 0.976 0.172 0.305
O 0.207 0.175 0.806
O 0.971 0.801 0.807
O 0.838 0.031 0.802
O 0.781 0.972 0.687
O 0.189 0.218 0.691
O 0.022 0.813 0.690
O 0.787 0.807 0.190
O 0.018 0.214 0.189
O 0.195 0.985 0.192
O 0.862 0.353 0.643
O 0.492 0.139 0.645
O 0.647 0.506 0.642
O 0.864 0.507 0.142
O 0.645 0.135 0.146
O 0.502 0.353 0.140
O 0.478 0.321 0.023
O 0.838 0.524 0.025
O 0.684 0.161 0.030
O 0.484 0.167 0.528
O 0.679 0.520 0.524
O 0.847 0.321 0.525
O 0.557 0.691 0.974
O 0.144 0.437 0.974
O 0.298 0.856 0.974
O 0.559 0.853 0.472
O 0.299 0.434 0.474
O 0.134 0.695 0.476
O 0.112 0.633 0.361
O 0.529 0.889 0.357
O 0.364 0.478 0.365
O 0.107 0.476 0.860
O 0.359 0.892 0.858
O 0.528 0.646 0.862
O 0.004 0.835 0.407
O 0.828 0.998 0.408
O 0.173 0.183 0.408
O 0.006 0.172 0.907
O 0.164 0.992 0.909
O 0.818 0.828 0.911
O 0.971 0.170 0.585
O 0.202 0.032 0.585
O 0.831 0.797 0.584
O 0.972 0.801 0.085
O 0.829 0.028 0.086
O 0.204 0.169 0.085
O 0.696 0.175 0.745
O 0.484 0.308 0.745
O 0.824 0.520 0.746
O 0.691 0.514 0.245
O 0.822 0.303 0.247
O 0.470 0.167 0.249
O 0.660 0.512 0.920
O 0.841 0.342 0.926
O 0.493 0.163 0.924
O 0.663 0.161 0.424
O 0.490 0.340 0.423
O 0.837 0.506 0.423
O 0.368 0.500 0.080
O 0.134 0.632 0.079
O 0.499 0.863 0.082
O 0.369 0.869 0.581
O 0.499 0.632 0.580
O 0.138 0.500 0.581
O 0.314 0.851 0.256
O 0.522 0.681 0.256
O 0.151 0.481 0.256
O 0.327 0.481 0.758
O 0.154 0.679 0.756
O 0.526 0.845 0.757
```

Computed properties:
ΔE_f, kcal/mol of atoms: -63.374
ρ, g/cm³: 2.863
Total energy after the MP2020 corrections, eV per atom: -6.8922
DFT total energy, eV per cell: -798.27
Space group: P1, No. 1

***

Entry 2:
This record from Materials Project describes CsMg14Si after structural relaxation. The functional is PBE-GGA. Values from VASP.

```
&SYSTEM
  ibrav = 0, nat = 16, ntyp = 3
/
ATOMIC_SPECIES
Cs 132.91 Cs.upf
Mg 24.30 Mg.upf
Si 28.09 Si.upf
CELL_PARAMETERS angstrom
-6.340 0.669 -0.300
2.730 -5.435 -1.935
-0.923 -4.131 10.299
ATOMIC_POSITIONS crystal
Cs 0.167 0.333 0.625
Mg 0.158 0.829 0.125
Mg 0.172 0.836 0.625
Mg 0.671 0.342 0.125
Mg 0.664 0.328 0.625
Mg 0.671 0.829 0.125
Mg 0.664 0.836 0.625
Mg 0.332 0.168 0.349
Mg 0.332 0.168 0.901
Mg 0.332 0.664 0.349
Mg 0.332 0.664 0.901
Mg 0.836 0.168 0.349
Mg 0.836 0.168 0.901
Mg 0.833 0.667 0.385
Mg 0.833 0.667 0.865
Si 0.167 0.333 0.125
```

Computed properties:
ΔE_f, kcal/mol of atoms: 4.805
Offset from the most stable computed form, eV per atom: 0.0240
ρ, g/cm³: 2.119
=====

Work order >
Restate only the last part of the listing above, starting with the line that has "0.988 0.668".

Result >
Na 0.988 0.668 0.916
Na 0.328 0.311 0.921
Na 0.975 0.318 0.414
Na 0.689 0.672 0.419
Na 0.011 0.995 0.500
Na 0.993 0.008 0.000
Na 0.669 0.311 0.836
Na 0.651 0.325 0.334
Na 0.334 0.640 0.169
Na 0.334 0.669 0.667
Mg 0.000 0.001 0.647
Mg 0.998 0.002 0.147
Mg 0.327 0.666 0.018
Mg 0.334 0.678 0.517
Mg 0.333 0.665 0.318
Mg 0.328 0.671 0.818
Al 0.987 0.991 0.349
Al 0.006 0.009 0.847
Al 0.668 0.333 0.687
Al 0.672 0.339 0.185
Al 0.667 0.322 0.983
Al 0.670 0.330 0.483
P 0.702 0.697 0.248
P 0.998 0.293 0.249
P 0.300 0.295 0.749
P 0.994 0.705 0.749
P 0.711 0.004 0.748
P 0.954 0.336 0.584
P 0.387 0.053 0.584
P 0.665 0.614 0.583
P 0.951 0.615 0.083
P 0.664 0.047 0.086
P 0.389 0.335 0.083
P 0.023 0.356 0.917
P 0.334 0.974 0.916
P 0.637 0.973 0.416
P 0.029 0.671 0.417
S 0.292 0.008 0.250
S 0.638 0.672 0.917
S 0.331 0.359 0.417
O 0.195 0.022 0.304
O 0.825 0.793 0.305
O 0.976 0.172 0.305
O 0.207 0.175 0.806
O 0.971 0.801 0.807
O 0.838 0.031 0.802
O 0.781 0.972 0.687
O 0.189 0.218 0.691
O 0.022 0.813 0.690
O 0.787 0.807 0.190
O 0.018 0.214 0.189
O 0.195 0.985 0.192
O 0.862 0.353 0.643
O 0.492 0.139 0.645
O 0.647 0.506 0.642
O 0.864 0.507 0.142
O 0.645 0.135 0.146
O 0.502 0.353 0.140
O 0.478 0.321 0.023
O 0.838 0.524 0.025
O 0.684 0.161 0.030
O 0.484 0.167 0.528
O 0.679 0.520 0.524
O 0.847 0.321 0.525
O 0.557 0.691 0.974
O 0.144 0.437 0.974
O 0.298 0.856 0.974
O 0.559 0.853 0.472
O 0.299 0.434 0.474
O 0.134 0.695 0.476
O 0.112 0.633 0.361
O 0.529 0.889 0.357
O 0.364 0.478 0.365
O 0.107 0.476 0.860
O 0.359 0.892 0.858
O 0.528 0.646 0.862
O 0.004 0.835 0.407
O 0.828 0.998 0.408
O 0.173 0.183 0.408
O 0.006 0.172 0.907
O 0.164 0.992 0.909
O 0.818 0.828 0.911
O 0.971 0.170 0.585
O 0.202 0.032 0.585
O 0.831 0.797 0.584
O 0.972 0.801 0.085
O 0.829 0.028 0.086
O 0.204 0.169 0.085
O 0.696 0.175 0.745
O 0.484 0.308 0.745
O 0.824 0.520 0.746
O 0.691 0.514 0.245
O 0.822 0.303 0.247
O 0.470 0.167 0.249
O 0.660 0.512 0.920
O 0.841 0.342 0.926
O 0.493 0.163 0.924
O 0.663 0.161 0.424
O 0.490 0.340 0.423
O 0.837 0.506 0.423
O 0.368 0.500 0.080
O 0.134 0.632 0.079
O 0.499 0.863 0.082
O 0.369 0.869 0.581
O 0.499 0.632 0.580
O 0.138 0.500 0.581
O 0.314 0.851 0.256
O 0.522 0.681 0.256
O 0.151 0.481 0.256
O 0.327 0.481 0.758
O 0.154 0.679 0.756
O 0.526 0.845 0.757
```

Computed properties:
ΔE_f, kcal/mol of atoms: -63.374
ρ, g/cm³: 2.863
Total energy after the MP2020 corrections, eV per atom: -6.8922
DFT total energy, eV per cell: -798.27
Space group: P1, No. 1

***

Entry 2:
This record from Materials Project describes CsMg14Si after structural relaxation. The functional is PBE-GGA. Values from VASP.

```
&SYSTEM
  ibrav = 0, nat = 16, ntyp = 3
/
ATOMIC_SPECIES
Cs 132.91 Cs.upf
Mg 24.30 Mg.upf
Si 28.09 Si.upf
CELL_PARAMETERS angstrom
-6.340 0.669 -0.300
2.730 -5.435 -1.935
-0.923 -4.131 10.299
ATOMIC_POSITIONS crystal
Cs 0.167 0.333 0.625
Mg 0.158 0.829 0.125
Mg 0.172 0.836 0.625
Mg 0.671 0.342 0.125
Mg 0.664 0.328 0.625
Mg 0.671 0.829 0.125
Mg 0.664 0.836 0.625
Mg 0.332 0.168 0.349
Mg 0.332 0.168 0.901
Mg 0.332 0.664 0.349
Mg 0.332 0.664 0.901
Mg 0.836 0.168 0.349
Mg 0.836 0.168 0.901
Mg 0.833 0.667 0.385
Mg 0.833 0.667 0.865
Si 0.167 0.333 0.125
```

Computed properties:
ΔE_f, kcal/mol of atoms: 4.805
Offset from the most stable computed form, eV per atom: 0.0240
ρ, g/cm³: 2.119